Starbucks Workers Attempting to Unionize May Have Just Had Their Best Week Ever
This week, white-collar workers at Starbucks signed an open letter in solidarity with baristas, Bernie Sanders announced he will force Howard Schultz to testify before a Senate committee, and the NLRB condemned the company for ignoring worker’s fundamental rights.

A person holds a sign as Starbucks workers hold a rally on October 5, 2022 in New York City. (Michael M. Santiago / Getty Images)
(What comes next are data records, not part of the piece)
'''
[1]
{"formula": "C31H29N11O6STi", "method": "wB97M-V/def2-TZVPD", "elements": ["Ti", "O", "C", "O", "C", "C", "C", "N", "C", "C", "C", "C", "C", "C", "C", "N", "C", "C", "C", "C", "C", "N", "H", "H", "H", "H", "H", "H", "H", "H", "H", "H", "C", "C", "N", "N", "C", "S", "N", "N", "H", "H", "H", "H", "H", "H", "C", "N", "C", "C", "C", "O", "N", "C", "O", "H", "H", "H", "H", "H", "O", "C", "N", "C", "O", "C", "C", "C", "C", "N", "C", "H", "H", "H", "H", "H", "H", "H", "H"], "positions_angstrom": [[0.0328, 0.1160, 0.0028], [-3.8850, 4.9302, -3.1464], [-3.0425, 4.2779, -3.7780], [-2.7913, 4.1280, -4.9786], [-2.1241, 3.4194, -2.8472], [-1.1807, 2.5502, -3.3743], [-0.4343, 1.7693, -2.5141], [-0.6076, 1.8052, -1.1813], [-1.4406, 2.7282, -0.6675], [-2.2210, 3.5360, -1.4646], [-1.3992, 2.7808, 0.8050], [-1.9769, 3.7916, 1.5575], [-1.8061, 3.7846, 2.9311], [-1.0570, 2.7716, 3.5107], [-0.5319, 1.7890, 2.6932], [-0.7048, 1.7781, 1.3678], [0.6899, 0.9029, -2.9189], [1.1524, 0.7975, -4.2217], [2.3022, 0.0695, -4.4671], [2.9656, -0.5224, -3.4013], [2.4221, -0.3994, -2.1364], [1.2984, 0.2812, -1.8954], [-1.0746, 2.5307, -4.4511], [-2.9259, 4.2639, -1.0811], [-2.5277, 4.5826, 1.0686], [-2.2404, 4.5669, 3.5385], [-0.8837, 2.7342, 4.5762], [0.0355, 0.9720, 3.1164], [0.6284, 1.2958, -5.0241], [2.6862, -0.0192, -5.4742], [3.8849, -1.0717, -3.5447], [2.8819, -0.8724, -1.2794], [-5.5155, -0.7318, -0.6404], [-4.5562, -1.2735, 0.3467], [-4.7516, -2.2516, 1.1696], [-3.5661, -2.3792, 1.8439], [-2.6371, -1.5076, 1.4524], [-1.0433, -1.3574, 1.9733], [-3.2697, -0.7860, 0.4973], [-2.6609, 0.2661, -0.1651], [-6.4233, -1.3277, -0.6099], [-5.0866, -0.7668, -1.6432], [-5.7651, 0.3061, -0.4147], [-3.4555, -3.0928, 2.5441], [-2.7257, 0.0759, -1.1817], [-3.1484, 1.1252, 0.0705], [1.4378, -4.3173, -1.1009], [0.3077, -3.4838, -1.5005], [-0.5722, -3.8651, -2.4878], [-1.5633, -3.0629, -2.8978], [-1.7358, -1.7576, -2.2810], [-2.6430, -0.9818, -2.5812], [-0.8408, -1.4421, -1.2794], [0.1574, -2.2491, -0.9597], [0.9997, -1.7869, -0.1200], [1.2263, -5.3451, -1.3831], [1.5681, -4.2573, -0.0242], [2.3536, -3.9881, -1.5915], [-0.4054, -4.8506, -2.8999], [-2.2531, -3.3637, -3.6704], [4.7397, -3.9170, 4.1179], [4.7323, -2.6775, 4.7875], [4.3670, -1.7124, 3.7743], [3.7401, -0.5556, 4.0649], [3.4676, -0.1830, 5.1881], [3.3570, 0.2858, 2.8742], [3.9108, 1.5449, 2.6828], [3.4638, 2.3255, 1.6296], [2.4469, 1.8399, 0.8280], [1.8948, 0.6386, 1.0260], [2.3570, -0.1335, 2.0157], [5.1450, -4.5806, 4.6844], [5.7167, -2.4443, 5.2056], [3.9872, -2.6298, 5.5841], [4.6191, -1.9415, 2.8265], [4.6773, 1.9069, 3.3560], [3.8810, 3.3035, 1.4386], [2.0426, 2.4246, 0.0101], [1.8974, -1.1103, 2.1199]], "de_lowest_ev": 0.248, "max_force_ev_per_a": 0.993, "s_squared": 0.75, "mol_weight_g_mol": 731.58, "spin_multiplicity": 2, "orbital_gap_ev": [6.4, 6.3], "charge": 1}

***

[2]
'''
(The data records stop here)
After more than a year of fighting intense and often illegal union busting by Starbucks, the clouds definitively broke for unionizing baristas. Three separate allies came forward midweek in support of the militant workers.
First, dozens of the company’s own white-collar workers went into open revolt, releasing a letter to the public making clear their support for the baristas and opposing new back-to-office rules.
Then, Bernie Sanders’s office announced that the committee he chairs in the US Senate will seek a subpoena to force Howard Schultz, the outgoing CEO of Starbucks, to testify under oath about the company’s labor practices.
Finally, a National Labor Relations Board (NLRB) administrative judge issued a ruling against the company stating, in a two-hundred-plus page document, that Starbucks had engaged in “egregious and widespread misconduct demonstrating a general disregard for the employees’ fundamental rights” in Buffalo, New York.
And that was just Wednesday.
“Things are starting to boil to the top,” said Boston-based barista Sky Bauer-Rowe. “It just needs a little bit more temperature.”
At about 9:00 a.m., Bloomberg broke a story about an open letter by several dozen white-collar employees of the union lending support to their barista coworkers. The workers, many of whom hold tech roles, criticized the company for “tampering with the federal right of store partners to have fair elections, free from fear, coercion, and intimidation.”
The letter also drew attention to the signatories’ own workplace issues, slamming Starbucks for a “poorly planned ‘return to office’ mandate” that “[prioritized] corporate control.”
The workers said, “We love Starbucks, but these actions are fracturing trust in Starbucks leadership.”
The move didn’t come out of nowhere; according to the Starbucks Workers United (SBWU), the white-collar workers had been coordinating with baristas in Seattle, where the company is headquartered. The open letter was signed by forty-four workers by name and had an additional twenty-two anonymous sponsors.
Soon after the signatories released the letter, Bernie Sanders’s office announced that Schultz will face a vote on a subpoena. An executive body of the Senate Committee on Health, Education, Labor, and Pensions (HELP), which Sanders chairs, will vote on March 8.
“Unfortunately, Mr. Schultz has given us no choice, but to subpoena him. A multi-billion-dollar corporation like Starbucks cannot continue to break federal labor law with impunity,” Sanders said in a release.
Bauer-Rowe reacted, “I’m very critical of politicians in general. . . . but then I see Bernie Sanders, putting a whole committee together to subpoena Howard Schultz. Wow, that’s more than any politician has ever done for us.”
While Sanders had previously hinted at a possible subpoena, his office had stayed mum until yesterday about whether that step would indeed be taken.
Sanders added, “For nearly a year, I and many of my colleagues in the Senate have repeatedly asked Mr. Schultz to respect the constitutional right of workers at Starbucks to form a union and to stop violating federal labor laws.”
/*
{
  "formula": "C56H128F5N8O11S3",
  "method": "ωB97M-V/def2-TZVPD",
  "orbital_gap_ev": [3.219, 7.529],
  "e_homo_ev": [-10.51, -14.82],
  "e_tot_ha": -5168.34457,
  "multiplicity": 2,
  "charge": 4,
  "fmax_ev_per_a": 9.40,
  "lumo_energy_ha": [-0.26794, -0.26794],
  "species": ["C", "F", "F", "F", "S", "O", "O", "O", "C", "C", "N", "C", "C", "C", "C", "C", "O", "C", "H", "H", "H", "H", "H", "H", "H", "H", "H", "H", "H", "H", "H", "H", "H", "H", "H", "H", "H", "H", "C", "C", "N", "C", "C", "C", "C", "C", "O", "C", "H", "H", "H", "H", "H", "H", "H", "H", "H", "H", "H", "H", "H", "H", "H", "H", "H", "H", "H", "H", "C", "C", "O", "N", "H", "H", "C", "H", "H", "H", "H", "H", "H", "C", "C", "O", "N", "H", "H", "C", "H", "H", "H", "H", "H", "H", "C", "C", "C", "C", "N", "C", "C", "C", "C", "C", "C", "C", "H", "H", "H", "H", "H", "H", "H", "H", "H", "H", "H", "H", "H", "H", "H", "H", "H", "H", "H", "H", "H", "H", "H", "H", "C", "C", "C", "C", "N", "C", "C", "C", "C", "C", "C", "C", "H", "H", "H", "H", "H", "H", "H", "H", "H", "H", "H", "H", "H", "H", "H", "H", "H", "H", "H", "H", "H", "H", "H", "H", "C", "C", "C", "C", "N", "C", "C", "C", "C", "C", "C", "C", "H", "H", "H", "H", "H", "H", "H", "H", "H", "H", "H", "H", "H", "H", "H", "H", "H", "H", "H", "H", "H", "H", "H", "H", "N", "S", "O", "O", "F", "S", "O", "O", "F"],
*/
He continued, “Mr. Schultz has failed to respond to those requests. He has denied meeting and document requests, skirted congressional oversight attempts, and refused to answer any of the serious questions we have asked.”
If Sanders’s committee moves forward with a subpoena, Schultz would be forced to testify and face questions about Starbucks’s union busting from the Vermont firebrand — along with other senators — under penalty of perjury.
But the day wasn’t over. At about 2:00 p.m., the NLRB administrative judge issued his ruling that Starbucks had violated federal labor law hundreds of times in Buffalo alone.
Stores in the Buffalo region were the first to organize in this latest wave of Starbucks unionizing, and there was little public attention to Starbucks’s illegal responses until SBWU achieved its first win in a store election in December 2021.
Workers, though, have long alleged that Starbucks had engaged in massive union busting in Buffalo, including store closures, firings, and other direct interference with the right to organize under the cover of night. With the support of parent union Workers United, SBWU workers registered hundreds of allegations of illegal union busting by Starbucks with the NLRB.
“It’s very validating to have this two-hundred-plus page document basically saying, ‘You’re right. He did all these things,’” said Casey Moore, an SBWU spokesperson.
If it is held up on potentially multiple appeals, the decision would reinstate and/or compensate dozens of workers for illegal union busting they endured, including seven who were fired. The judge ordered dozens of other remedies as well.
For example, the judge also ruled that a store that was illegally shut down will have to be reopened. Starbucks will also be forced to acknowledge to all of its baristas nationwide, through its electronic channels, a detailed and lengthy list of what it has been ordered to commit to by the NLRB.
The administrative judge is requiring that the notice be posted in all of the company’s stores for the duration of the organizing campaign. Schultz himself will personally have to read the notice to all Buffalo workers or do so on video.
Next to the piece, the page also holds calculated molecules >
-- begin --
The following is a quantum chemistry calculation of the molecule C4H9NO2 at a distorted geometry, from OMol25.

The geometry in XYZ format:
```
16
Properties=species:S:1:pos:R:3
O -0.1524 0.8316 0.0962
O 0.4387 2.6276 0.8884
N 0.2462 1.3894 1.4966
C -0.3874 -1.4842 -0.5586
C -0.5440 -0.8397 -1.8921
C -0.7303 -0.4705 0.5159
C 1.0648 -1.6724 -0.2053
H -1.0570 -2.4276 -0.5220
H -0.5078 -0.6249 1.6477
H 1.5043 -1.6794 0.9057
H 1.6281 -0.9164 -0.7848
H 0.0362 0.1695 -1.8238
H -1.8335 -0.4411 0.4215
H -0.1233 -1.4840 -2.7071
H -1.6387 -0.4428 -2.0869
H 1.5587 -2.7522 -0.5631
```

E   -9871.9154 eV
Kohn-Sham gap   0.317 Ha
LUMO energy   -1.7 eV



The following is a quantum chemistry calculation of a 2-piece molecular cluster, C2HClF2O2 overall at a distorted geometry, from OMol25.

The geometry in XYZ format:
```
8
Properties=species:S:1:pos:R:3
Cl -2.0966 -0.3713 -0.4734
F 1.2819 -0.8228 0.9924
F -0.1258 -2.1046 -0.1301
O 0.2494 3.1701 0.3187
O -0.3455 1.4228 0.2738
C 0.4418 -0.9031 -0.0886
C -0.5900 0.2451 0.0855
H 1.1849 -0.6363 -0.9783
```

Expectation value of S²   2.007
E   -24136.6507 eV
Kohn-Sham gap (spin up / spin down)   0.410 / 0.355 Ha
LUMO energy (spin up / spin down)   -0.6 / -1.1 eV
2S+1   3



The following is a quantum chemistry calculation of C6H10O as an isolated structure, from OMol25.

The geometry in XYZ format:
```
17
Properties=species:S:1:pos:R:3
O 0.3593 1.6963 -1.8066
C 0.0951 -0.5887 -0.8357
C -1.4334 -1.4088 1.1591
C 0.6537 0.7975 -0.7746
C -1.0195 -0.3480 0.1551
C 1.9969 0.3752 -0.5374
C -0.1754 0.8736 0.5559
H -1.9098 -2.2537 0.6429
H 2.4094 0.2052 0.4462
H -2.1518 -1.0291 1.8959
H 0.4401 0.6248 1.4261
H -0.6621 1.8391 0.6604
H -0.5542 -1.7888 1.6895
H -1.9163 0.0103 -0.3871
H 0.5284 -1.5301 -1.1316
H 0.9769 2.4334 -1.7145
H 2.7161 0.4179 -1.3648
```

E   -8427.3774 eV
Kohn-Sham gap (spin up / spin down)   0.300 / 0.297 Ha
LUMO energy (spin up / spin down)   0.4 / 0.3 eV



The following is a quantum chemistry calculation of the molecule C3H4N2O, from OMol25.

The geometry in XYZ format:
```
10
Properties=species:S:1:pos:R:3
O 0.6349 2.0010 0.0210
N -1.0997 -0.3405 1.2958
N 0.6903 1.5531 -1.0983
C 0.1540 0.1780 -1.1413
C 0.7711 -0.9153 -0.3542
C -0.2454 -0.3532 0.2248
H 1.4393 -1.7454 -0.4729
H -0.7666 -0.9155 2.0627
H -1.3955 0.5680 1.6313
H -0.1825 -0.0302 -2.1688
```

E   -8198.6605 eV
Kohn-Sham gap   0.323 Ha
LUMO energy   0.2 eV



The following is a quantum chemistry calculation of C5H14ClFeO3SZn as an isolated structure at a distorted geometry, from OMol25.

The geometry in XYZ format:
```
26
Properties=species:S:1:pos:R:3
Zn 0.0079 0.2163 0.5395
Fe 0.6733 -0.4456 -2.0523
Cl 0.8939 1.7977 -1.1183
S 0.8315 0.3646 3.4708
O 1.6604 1.1085 4.4109
O 0.4288 1.2338 2.3192
O 1.3141 -0.9594 3.0409
C -1.7652 1.3860 0.4215
C 2.1815 -0.9434 -3.5599
C -0.6731 0.2458 4.4592
C -0.5774 -0.0936 -3.5270
C -0.0925 -1.5610 -0.4592
H -0.1858 -0.7565 -4.2798
H -2.6057 1.1155 1.0551
H -0.3476 -0.0258 5.4676
H -1.3912 -0.4588 4.0659
-- stop --
While the judgment will not have immediate effect — it can be appealed within the NLRB and then in court — it continues to build SBWU’s case in the court of public opinion.
Moreover, the constant stream of legitimized allegations is regularly giving the “progressive” company black eyes in public. These threats to the company’s brand include unlawful firings, illegal hours cuts, selective benefits and raises to nonunion stores, and general interference with the freedom to organize.
And some on the business side are starting to take notice too; the company faces a shareholder vote on whether to hold an external examination of Starbucks’s labor practices at its upcoming annual meeting.
Taken together, Wednesday’s events were a breakthrough in holding Starbucks — and Howard Schultz himself — accountable for illegal union busting that baristas have long alleged, even as the chief executive prepares to go behind the scenes again.
With spring mornings waiting around the corner, baristas see daylight. “I feel like the walls are closing in on him and he can’t run anymore,” said Bauer-Rowe.